_Material_
Entry 1:
MgFeRe2 after structural relaxation, computed with PBE.

Unit cell a=3.7243 b=3.7243 c=8.3125 alpha=90.00 beta=90.00 gamma=90.00
With the nearest neighbours (Å) after each atom.
Element x y z (fractional)
1 Mg 0.0000 0.0000 0.0000  4 Fe 2.63, 8 Re 2.79
2 Mg 0.5000 0.5000 0.5000  4 Fe 2.63, 8 Re 2.79
3 Fe 0.0000 0.0000 0.5000  4 Mg 2.63, 8 Re 2.79
4 Fe 0.5000 0.5000 0.0000  4 Mg 2.63, 8 Re 2.79
5 Re 0.0000 0.5000 0.2500  4 Re 2.63, 4 Fe 2.79, 4 Mg 2.79
6 Re 0.0000 0.5000 0.7500  4 Re 2.63, 4 Fe 2.79, 4 Mg 2.79
7 Re 0.5000 0.0000 0.2500  4 Re 2.63, 4 Fe 2.79, 4 Mg 2.79
8 Re 0.5000 0.0000 0.7500  4 Re 2.63, 4 Fe 2.79, 4 Mg 2.79

Computed properties:
ΔH_f (0 K) (meV per atom): 331
SG: I4/mmm
Crystal system: tetragonal

=====

Entry 2:
MgFe2Re after structural relaxation, computed with PBE.

Unit cell a=5.3130 b=8.3223 c=2.5801 alpha=90.00 beta=104.48 gamma=90.00
With the nearest neighbours (Å) after each atom.
Element x y z (fractional)
1 Mg 0.0000 0.0000 0.0000  2 Mg 2.58, 4 Fe 2.63, 2 Re 2.66
2 Mg 0.5000 0.5000 0.0000  2 Mg 2.58, 4 Fe 2.63, 2 Re 2.66
3 Fe 0.2500 0.2500 0.5000  4 Fe 2.58-2.66, 2 Re 2.63, 2 Mg 2.63
4 Fe 0.2500 0.7500 0.5000  4 Fe 2.58-2.66, 2 Re 2.63, 2 Mg 2.63
5 Fe 0.7500 0.2500 0.5000  4 Fe 2.58-2.66, 2 Re 2.63, 2 Mg 2.63
6 Fe 0.7500 0.7500 0.5000  4 Fe 2.58-2.66, 2 Re 2.63, 2 Mg 2.63
7 Re 0.0000 0.5000 0.0000  2 Re 2.58, 4 Fe 2.63, 2 Mg 2.66
8 Re 0.5000 0.0000 0.0000  2 Re 2.58, 4 Fe 2.63, 2 Mg 2.66

Computed properties:
ΔH_f (0 K) (meV per atom): 264
SG: C2/m
Crystal system: monoclinic

=====

Entry 3:
MgFe2Re after structural relaxation, computed with PBE.

Unit cell a=3.1161 b=4.2606 c=8.4617 alpha=90.00 beta=90.00 gamma=90.00
With the nearest neighbours (Å) after each atom.
Element x y z (fractional)
1 Mg 0.0000 0.0000 0.0000  4 Mg 2.64, 4 Fe 2.70
2 Mg 0.5000 0.5000 0.0000  4 Mg 2.64, 4 Fe 2.70
3 Fe 0.0000 0.5000 0.2608  2 Re 2.55, 4 Fe 2.64, 2 Mg 2.70
4 Fe 0.0000 0.5000 0.7392  2 Re 2.55, 4 Fe 2.64, 2 Mg 2.70
5 Fe 0.5000 0.0000 0.2608  2 Re 2.55, 4 Fe 2.64, 2 Mg 2.70
6 Fe 0.5000 0.0000 0.7392  2 Re 2.55, 4 Fe 2.64, 2 Mg 2.70
7 Re 0.0000 0.0000 0.5000  4 Fe 2.55, 4 Re 2.64
8 Re 0.5000 0.5000 0.5000  4 Fe 2.55, 4 Re 2.64

Computed properties:
ΔH_f (0 K) (meV per atom): 217
SG: Cmmm
Crystal system: orthorhombic

=====

Entry 4:
MgFeRe2 after structural relaxation, computed with PBE.

Unit cell a=7.2125 b=7.2125 c=4.9385 alpha=90.00 beta=90.00 gamma=90.00
With the nearest neighbours (Å) after each atom.
Element x y z (fractional)
1 Mg 0.0000 0.0000 0.0000  2 Fe 2.47
2 Mg 0.0000 0.5000 0.2500  2 Fe 2.47
3 Mg 0.5000 0.0000 0.7500  2 Fe 2.47
4 Mg 0.5000 0.5000 0.5000  2 Fe 2.47
5 Fe 0.0000 0.0000 0.5000  4 Re 2.33, 2 Mg 2.47
6 Fe 0.0000 0.5000 0.7500  4 Re 2.33, 2 Mg 2.47
7 Fe 0.5000 0.0000 0.2500  4 Re 2.33, 2 Mg 2.47
8 Fe 0.5000 0.5000 0.0000  4 Re 2.33, 2 Mg 2.47
9 Re 0.1862 0.2500 0.6250  2 Fe 2.33
10 Re 0.2500 0.6862 0.8750  2 Fe 2.33
11 Re 0.2500 0.8138 0.3750  2 Fe 2.33
12 Re 0.3138 0.2500 0.1250  2 Fe 2.33
13 Re 0.6862 0.7500 0.1250  2 Fe 2.33
14 Re 0.7500 0.1862 0.3750  2 Fe 2.33
15 Re 0.7500 0.3138 0.8750  2 Fe 2.33
16 Re 0.8138 0.7500 0.6250  2 Fe 2.33

Computed properties:
ΔH_f (0 K) (meV per atom): 734
SG: I-42d
Crystal system: tetragonal

=====

Entry 5:
MgFeRe2 after structural relaxation, computed with PBE.

Unit cell a=2.6880 b=2.6880 c=8.0475 alpha=90.00 beta=90.00 gamma=90.00
With the nearest neighbours (Å) after each atom.
Element x y z (fractional)
1 Mg 0.0000 0.0000 0.0000  4 Mg 2.69, 8 Re 2.94
2 Fe 0.0000 0.0000 0.5000  8 Re 2.60, 4 Fe 2.69
3 Re 0.5000 0.5000 0.2794  4 Fe 2.60, 4 Re 2.69
4 Re 0.5000 0.5000 0.7206  4 Fe 2.60, 4 Re 2.69

Computed properties:
ΔH_f (0 K) (meV per atom): 270
SG: P4/mmm
Crystal system: tetragonal

=====

Entry 6:
MgFeRe2 after structural relaxation, computed with PBE.

Unit cell a=3.1455 b=4.3841 c=8.3886 alpha=90.00 beta=90.00 gamma=90.00
With the nearest neighbours (Å) after each atom.
Element x y z (fractional)

_Wanted_
What is needed: filter the block earlier on: keep the lines with the word "PBE".

_Completed_
MgFeRe2 after structural relaxation, computed with PBE.
MgFe2Re after structural relaxation, computed with PBE.
MgFe2Re after structural relaxation, computed with PBE.
MgFeRe2 after structural relaxation, computed with PBE.
MgFeRe2 after structural relaxation, computed with PBE.
MgFeRe2 after structural relaxation, computed with PBE.